Please restate the data further below from the line with "0.8426" to the end verbatim.

/*
1.
DFT (PBE) results for a relaxed CaAlSiH crystal.

Summary:
Magnetic moment: 0.0 μB/cell
Space group: P3m1, No. 156
Largest piezoelectric modulus: 1.0 C/m2
Crystal system: trigonal
Energy of formation: -0.4348 eV per atom

The structure in CIF format:
```
data_CaAlSiH
_chemical_formula_sum 'Ca1 Al1 Si1 H1'
_symmetry_space_group_name_H-M 'P 1'
_symmetry_Int_Tables_number 1
_cell_length_a 4.1433
_cell_length_b 4.1433
_cell_length_c 4.6982
_cell_angle_alpha 90.00
_cell_angle_beta 90.00
_cell_angle_gamma 120.00
loop_
_symmetry_equiv_pos_as_xyz
'x,y,z'
loop_
_atom_site_label
_atom_site_type_symbol
_atom_site_fract_x
_atom_site_fract_y
_atom_site_fract_z
_atom_site_occupancy
Ca1 Ca 0.0000 0.0000 0.0000 1
Al1 Al 0.6667 0.3333 0.4572 1
Si1 Si 0.3333 0.6667 0.5660 1
H1 H 0.6667 0.3333 0.0839 1
```


2.
DFT (PBE) results for a relaxed KCa3Mg3AlSi8O24 crystal.

Summary:
Magnetic moment: 0.0 μB/cell
Space group: P2, No. 3
Crystal system: monoclinic
Energy of formation: -3.2829 eV per atom

The structure in CIF format:
```
data_KCa3Mg3AlSi8O24
_chemical_formula_sum 'K1 Ca3 Mg3 Al1 Si8 O24'
_symmetry_space_group_name_H-M 'P 1'
_symmetry_Int_Tables_number 1
_cell_length_a 5.3234
_cell_length_b 9.0016
_cell_length_c 9.7837
_cell_angle_alpha 90.00
_cell_angle_beta 105.28
_cell_angle_gamma 90.00
loop_
_symmetry_equiv_pos_as_xyz
'x,y,z'
loop_
_atom_site_label
_atom_site_type_symbol
_atom_site_fract_x
_atom_site_fract_y
_atom_site_fract_z
_atom_site_occupancy
K1 K 0.0000 0.0000 0.0000 1
Ca1 Ca 0.0000 0.8846 0.5000 1
Ca2 Ca 0.5000 0.3829 0.0000 1
Ca3 Ca 0.5000 0.4906 0.5000 1
Mg1 Mg 0.0000 0.2803 0.5000 1
Mg2 Mg 0.0000 0.5954 0.0000 1
Mg3 Mg 0.5000 0.0942 0.5000 1
Al1 Al 0.5000 0.7871 0.0000 1
Si1 Si 0.1866 0.2815 0.2150 1
Si2 Si 0.1928 0.5990 0.7158 1
Si3 Si 0.3158 0.0922 0.7858 1
Si4 Si 0.3156 0.7822 0.2819 1
Si5 Si 0.6842 0.0922 0.2142 1
Si6 Si 0.6844 0.7822 0.7181 1
Si7 Si 0.8072 0.5990 0.2842 1
Si8 Si 0.8134 0.2815 0.7850 1
O1 O 0.1083 0.6702 0.3416 1
O2 O 0.1133 0.2080 0.8426 1
O3 O 0.1983 0.4372 0.1359 1
O4 O 0.2091 0.4421 0.6414 1
O5 O 0.2255 0.0934 0.6139 1
O6 O 0.2525 0.7643 0.1106 1
O7 O 0.2752 0.2785 0.3869 1
O8 O 0.2873 0.6141 0.8882 1
O9 O 0.2872 0.9379 0.3562 1
O10 O 0.3266 0.9321 0.8627 1
O11 O 0.3866 0.7093 0.6449 1
O12 O 0.3975 0.1775 0.1533 1
O13 O 0.6025 0.1775 0.8467 1
O14 O 0.6134 0.7093 0.3551 1
O15 O 0.6734 0.9321 0.1373 1
O16 O 0.7127 0.6141 0.1118 1
O17 O 0.7128 0.9379 0.6438 1
O18 O 0.7248 0.2785 0.6131 1
O19 O 0.7475 0.7643 0.8894 1
O20 O 0.7745 0.0934 0.3861 1
O21 O 0.7909 0.4421 0.3586 1
O22 O 0.8017 0.4372 0.8641 1
O23 O 0.8867 0.2080 0.1574 1
O24 O 0.8917 0.6702 0.6584 1
```
*/

O2 O 0.1133 0.2080 0.8426 1
O3 O 0.1983 0.4372 0.1359 1
O4 O 0.2091 0.4421 0.6414 1
O5 O 0.2255 0.0934 0.6139 1
O6 O 0.2525 0.7643 0.1106 1
O7 O 0.2752 0.2785 0.3869 1
O8 O 0.2873 0.6141 0.8882 1
O9 O 0.2872 0.9379 0.3562 1
O10 O 0.3266 0.9321 0.8627 1
O11 O 0.3866 0.7093 0.6449 1
O12 O 0.3975 0.1775 0.1533 1
O13 O 0.6025 0.1775 0.8467 1
O14 O 0.6134 0.7093 0.3551 1
O15 O 0.6734 0.9321 0.1373 1
O16 O 0.7127 0.6141 0.1118 1
O17 O 0.7128 0.9379 0.6438 1
O18 O 0.7248 0.2785 0.6131 1
O19 O 0.7475 0.7643 0.8894 1
O20 O 0.7745 0.0934 0.3861 1
O21 O 0.7909 0.4421 0.3586 1
O22 O 0.8017 0.4372 0.8641 1
O23 O 0.8867 0.2080 0.1574 1
O24 O 0.8917 0.6702 0.6584 1
```